Op-Ed Social Media (1)

Internship Crisis: There’s a Crisis in the Field and We Have to Talk About It

Annie Jacobson

Before I wrote this, I did some research. Based on what I could find online, in an ideal scenario, there appears to be approximately 240 internship sites available across all internship cycles. However, during the most recent summer round, there appeared to be less than 40. While summer internships are often less available, this felt like a new low. Furthermore, barriers to application, like cost, exclusive affiliation agreements, and location, mean the number of sites realistically available to most students could have been drastically less.

While the reverberating effects of COVID-19 on the internship process felt previously unimaginable, for many students it seemed as though the pandemic merely exacerbated what had long been boiling beneath the surface. The lack of placement opportunities simply took the traditional barriers to internship to new heights, creating a culture of unrealistically high standards that left students with advanced degrees and thousands of hours of experience debating pursuing certification. I personally know dozens of highly qualified students who experienced shocking rejections from first round interviews, rejections that, one could argue, may not have occurred even just a few cycles ago. Moreover, as child life programs continue to remain understaffed and overwhelmed by equally qualified applicants, the system as-is leaves internship committees without the resources, support, or tools to further create or pursue solutions. This added strain means overwhelmed programs are also probably subject to higher degrees of stress and subconscious bias during decision making which may contribute to the reality that the profession remains overwhelmingly white, female, and able-bodied. Coupled with the growing prominence of video submissions, where students are forced to spend hours on their appearance and video editing skills, being told presentation is just as important as content (often while also being asked to meet difficult submission deadlines), the current system just simply does not function in a way that will allow us to begin to break the cycle of compounding inequities.

The uncomfortable reality here is that not securing an internship often results in abject harm, all the more so for those students living with marginalized identities; our entire lives and livelihoods are placed on indefinite hold. Without internships, we may not be able to graduate, we cannot move forward with certification, and we will not be able to find work in the child life field. We are stuck, in limbo, for months, and sometimes even over a year due to when application due dates fall. I know multiple students who had to put off starting a family or buying a house because they have to try yet again for another internship cycle. Additionally, there has been an elevated mental and physical toll on students that must be addressed. During this past internship cycle alone, numerous students became so despondent they could not sleep, a student with IBS mentioned experiencing several flare ups, and more than one experienced a relapse of their anxiety and depression requiring additional medication. These experiences are not hyperbolic, and they are not uncommon.

The following is just a small sampling of how consequential the current process can feel:


The overwhelming financial burden is repeatedly pushed onto students, trapping us in a system where only those with consistent financial support can complete the process for certification. Applications for practicum and internship are a significant cost. As most hospitals explain they have too many applications to provide confirmation of receipt, it is expected students pay for tracking in addition to the cost of stamps, envelopes, paper, and printer ink. I know more than one student who has paid over $100 just to mail out applications. Given the current landscape, it is expected students will do this over and over again until they are able to secure placement.

Despite the steady increase in cost of living throughout the country, students are still expected to afford furnished housing, gas, utilities, food, potential car rentals, and other necessities for four months while working full time during internship with no income. We know marginalized students are already more likely to experience wealth inequality, thus compounding the problems surrounding a lack of diverse candidates and, ultimately, Certified Child Life Specialists. While incredibly and inequitably taxing, students who are seeking clinical experiences understand they will (a) most likely have to move and (b) that moving all but guarantees it will cost thousands upon thousands of dollars to complete an internship. We undergo the painstaking application process anyway as, for almost all of us, there is simply no other choice.


Conversations around competitiveness often feel moot as hundreds of students remain in a backlog that could take several cycles to get through (and that is if no new applicants even enter the process). Students are often told to improve their resume each cycle by simply acquiring any experience they can. The idea that students should simply continue to pad their resumes, when they already qualify for internship according to ACLP requirements, is an issue of equitable access to certification and undue burdens, not competitiveness or quality of applicants. Moreover, individuals applying to internships for the first time are not always able to compete with those who have been through multiple cycles and may have already completed multiple practicums or additional experiences. Not to mention, the turnaround time from summer to fall applications is only about four weeks and, while the turnaround from fall to the winter/spring deadline is around four months, most opportunities to apply for summer practicums or other experiences will have passed by the time internship offers are finalized. What do hospitals realistically expect students to accomplish during these time frames?

Furthermore, despite the ACLP clearly noting practicums are not required for certification, practicums have become as competitive as internships, requiring the majority of students to go through multiple rounds before being granted placement. It is expected students should now be willing to move across the country in order to obtain these entry-level experiences. Some hospitals tell students they now need to have at least two practicums on their resume while other hospitals tell students they view multiple practicums as a potential red flag, wondering if it implies they were not able to successfully complete the others. Ultimately, many students report having to “play the game” with internships, and now practicums, resulting in severe mental anguish, confusion, and burn out before they ever enter the field.

Similarly, it is important to note we are no longer operating under a system within which applying to as many hospitals as one can afford guarantees an internship. A student who applied to 21 internship sites was rejected from all 21. However, they exceed qualifications according to both the internship readiness standards the ACLP has currently outlined and the feedback provided by the hospitals to which they applied. Another student shared with me they “did everything right” and “even asked for feedback [to see where they could improve].” But, the feedback was essentially, “there were six of you in the final round and at some point we just had to pick one.” Additionally, despite knowing nothing about where else students may have been able to – or even wanted to – apply, hospitals needing to draw a line somewhere have begun recently denying qualified students based on assumptions. An anonymous, vetted Instagram post explained a selection committee “considered not offering [an internship] to a student they “…didn’t think [would] choose [their] small hospital.” Meanwhile, a different student received an email in which they found out a hospital stopped accepting out-of-state candidates altogether because they became inundated with applications and figured out-of-state students would not come if they received an offer closer to home. While I applaud these sites for their honesty, and I genuinely encourage more of it, how many other students, without knowing, have been rejected for similar assumptions rather than their ability to actually be successful interns? There may be even more barriers to certification in which students continue to bear the brunt of the harm.

To further put this into perspective, during the past round of applications, I interviewed students who had been rejected from various hospitals and contacted the hospitals about their application numbers. In two instances, the hospitals informed me that they had received “over 100” (the hospital with the highest application numbers) and “66” (the hospital with the lowest number of applications). The “over 100” hospital accepted four students, and the “66” hospital accepted one. That means those two hospitals had rejection rates of 96% and 98%. Even with possibility of duplicate applications to multiple hospitals, that is still a very difficult barrier for a student to overcome!

Continuing the Conversation Together

Please know, I want to be clear, I do not believe any one person is responsible for what this situation has become. Every child life specialist I have ever reached out to for guidance or support has been extraordinarily kind and generous with their time – including members of various ACLP committees. Still, we have a responsibility to publicly acknowledge a field consistently over saturated with overqualified candidates cannot continue on in this way. We are not operating under the same reality current Certified Child Life Specialists experienced even two years ago when the ACLP initially conducted its Internship Review and Selection Think Tank. We need to know exactly how many qualified students are still in need of a placement, we need to appreciate how hard hospitals are working to parse through applications, and we need to openly discuss the barriers, challenges, and burnout of students and child life specialists alike.

********
An optimized crystal structure of Y13Al2. Source: Alexandria via LeMat-Bulk, functional GGA-PBE.

Cell: 6.6824 8.5105 9.1317 Å, 63.60 89.05 79.96°
Last column: nearest neighbours and their distance in Å.
Space group P-1 (No. 2)
Symmetry-distinct sites (fractional):
Y 0.0000 0.0000 0.0000 [1 per cell]  2 Al 3.08, 4 Y 3.34-3.40
Y 0.0344 0.5003 0.7017 [2 per cell]  2 Al 3.17, 3 Y 3.36-3.53
Y 0.2312 0.0111 0.5723 [2 per cell]  2 Al 3.12-3.40, 3 Y 3.42-3.48
Y 0.2514 0.2047 0.1555 [2 per cell]  9 Y 3.34-3.62, 1 Al 3.42
Y 0.2782 0.6487 0.9595 [2 per cell]  11 Y 3.40-3.72
Y 0.4467 0.1717 0.8157 [2 per cell]  1 Al 3.04, 3 Y 3.31-3.38
Y 0.4731 0.3983 0.3809 [2 per cell]  1 Al 3.08, 3 Y 3.36-3.42
Al 0.1624 0.7786 0.3614 [2 per cell]  7 Y 3.04-3.40



An optimized crystal structure of YAl6. Source: Alexandria via LeMat-Bulk, functional GGA-PBE.

Cell: 7.1232 7.1232 7.1232 Å, 90.00 90.00 90.00°
Last column: nearest neighbours and their distance in Å.
Space group Im-3m (No. 229)
Symmetry-distinct sites (fractional):
Y 0.0000 0.0000 0.0000 [2 per cell]  24 Al 3.98
Al 0.0000 0.2500 0.5000 [12 per cell]  4 Al 2.52



An optimized crystal structure of Y3Al. Source: Alexandria via LeMat-Bulk, functional GGA-PBE.

Cell: 7.6016 7.6016 7.6016 Å, 90.00 90.00 90.00°
Last column: nearest neighbours and their distance in Å.
Space group Fm-3m (No. 225)
Symmetry-distinct sites (fractional):
Y 0.0000 0.0000 0.0000 [4 per cell]  8 Y 3.29
Y 0.2500 0.2500 0.2500 [8 per cell]  4 Al 3.29, 4 Y 3.29
Al 0.0000 0.0000 0.5000 [4 per cell]  8 Y 3.29



no.,total DFT energy (no corrections) (eV/atom),energy relative to the elements (eV/atom),total magnetic moment (Bohr magnetons per cell)
1,-6.1396,-0.038,0.000
2,-3.6220,0.509,0.000
3,-5.8282,-0.045,2.486

----------

No. 1
A geometry-optimized YNpSb2 structure, computed with PBE.

Values from the calculation:
- Total DFT energy (no corrections): -7.413 eV/atom
- Symmetry: No. 123
- DOS(E_F): 2.762 states/eV/atom
- Calculated volume: 26.56 Å³/atom
- Total moment: 4.64 μB/cell
- ΔE to the lowest computed polymorph: 174 meV/atom

Structure (CIF):
```
data_YNpSb2
_chemical_formula_sum 'Y1 Np1 Sb2'
_space_group_name_H-M_alt 'P 1'
_space_group_IT_number 1
_cell_length_a 5.692
_cell_length_b 5.692
_cell_length_c 3.279
_cell_angle_alpha 90.00
_cell_angle_beta 90.00
_cell_angle_gamma 90.00
loop_
_space_group_symop_operation_xyz
'x,y,z'
loop_
_atom_site_label
_atom_site_fract_x
_atom_site_fract_y
_atom_site_fract_z
Y1 0.000 0.000 0.000
Np1 0.500 0.500 0.000
Sb1 0.000 0.500 0.500
Sb2 0.500 0.000 0.500
```

No. 2
A geometry-optimized YNpSb2 structure, computed with PBE.

Values from the calculation:
- Total DFT energy (no corrections): -7.587 eV/atom
- Symmetry: No. 141
- DOS(E_F): 2.856 states/eV/atom
- Calculated volume: 29.95 Å³/atom
- Total moment: 7.84 μB/cell
- ΔE to the lowest computed polymorph: 0 meV/atom

Structure (CIF):
```
data_YNpSb2
_chemical_formula_sum 'Y2 Np2 Sb4'
_space_group_name_H-M_alt 'P 1'
_space_group_IT_number 1
********

While we are all feeling the effects of the global healthcare crisis, students are shouldering the burdens in different ways. It is only by bringing all stakeholders to the table that we can move forward with new, improved, and more equitable frameworks for success in both the internship process and certification at large. I would encourage folks from all spectrums of the child life field to submit an op-ed and share their perspectives in order to help continue this process. Moreover, I would implore the ACLP Board of Directors to provide space for students to share what they are experiencing. One potential long-term solution is to create a student advisory group and/or student liaison board position. It is long past time to open lines of communication with all members – not just the Certified Child Life Specialists. 

By working together, and listening to one another, I know we can, and will, get through this; I look forward to continuing these essential conversations alongside you all. 
